# Contents
'''
Entry 1:
Pu6GeAs3: optimized geometry, PBE.

Cell lengths 5.731, 5.731, 8.334 Å; angles 108.77, 108.77, 87.19 degrees
Fractional coordinates of all 10 atoms:
Pu 0.087 0.710 0.670
Pu 0.290 0.913 0.330
Pu 0.368 0.368 0.078
Pu 0.632 0.632 0.922
Pu 0.710 0.087 0.670
Pu 0.913 0.290 0.330
Ge 0.500 0.500 0.500
As 0.000 0.000 0.000
As 0.220 0.220 0.687
As 0.780 0.780 0.313

Calculated values
Space group   No. 12
Energy relative to the elements   -0.4321 eV per atom
VASP energy   -0.40012 Ha/atom
Density of states at the Fermi level   4.88 states/eV per atom



Entry 2:
PuGe2As: optimized geometry, PBE.

Cell lengths 4.801, 4.801, 4.801 Å; angles 64.04, 64.04, 64.04 degrees
Fractional coordinates of all 4 atoms:
Pu 0.000 0.000 0.000
Ge 0.259 0.259 0.259
Ge 0.741 0.741 0.741
As 0.500 0.500 0.500

Calculated values
Relative energy among the computed polymorphs   427 meV/atom
Space group   No. 166
Energy relative to the elements   0.0063 eV per atom
VASP energy   -0.25900 Ha/atom
Density of states at the Fermi level   2.53 states/eV per atom



Entry 3:
PuGeAs2: optimized geometry, PBE.

Cell lengths 4.421, 4.421, 4.032 Å; angles 90.00, 90.00, 90.00 degrees
Fractional coordinates of all 4 atoms:
Pu 0.000 0.000 0.000
Ge 0.500 0.500 0.000
As 0.000 0.500 0.500
As 0.500 0.000 0.500

Calculated values
Relative energy among the computed polymorphs   0 meV/atom
Space group   No. 123
Energy relative to the elements   -0.4639 eV per atom
VASP energy   -0.27658 Ha/atom
Density of states at the Fermi level   1.72 states/eV per atom



Entry 4:
PuGeAs2: optimized geometry, PBE.

Cell lengths 7.827, 7.827, 7.827 Å; angles 33.25, 33.25, 33.25 degrees
Fractional coordinates of all 4 atoms:
Pu 0.000 0.000 0.000
Ge 0.500 0.500 0.500
As 0.394 0.394 0.394
As 0.606 0.606 0.606

Calculated values
Relative energy among the computed polymorphs   517 meV/atom
Space group   No. 166
Energy relative to the elements   0.0530 eV per atom
VASP energy   -0.25758 Ha/atom
Density of states at the Fermi level   2.87 states/eV per atom
'''
# Assignment
Your job: work out how many lines earlier on have the word "energy" in them; a number is enough.
# Reply
7